To do:
Please filter the contents underneath: keep the lines with the word "gap".

Listing:
~~~
# 1
This record from the OMol25 dataset describes the ion C3H8N4 with charge +2. The level of theory is ωB97M-V/def2-TZVPD.

Geometry (Å):
1 C 1.203544 0.828192 0.124161
2 C -0.967214 0.669259 -1.018905
3 C -0.874097 -0.869087 0.826010
4 N 2.063888 -1.344826 0.458614
5 N -1.156401 -0.617604 -0.401632
6 N 0.116928 1.387253 -0.402877
7 N 1.348973 -0.392055 0.519861
8 H 1.985535 1.510870 0.477113
9 H -0.797967 0.531338 -2.101576
10 H -1.887144 1.272767 -0.926881
11 H -0.755890 -0.078173 1.555407
12 H -0.978550 -1.886224 1.197973
13 H 2.052487 -2.040374 1.220503
14 H -1.457742 -1.371246 -1.030574
15 H 0.103649 2.399909 -0.497196

Forces on the atoms, in the same order (eV/Å):
C 0.02 2.12 -0.62
C -0.83 0.97 -1.00
C -1.54 -0.34 0.30
N 1.66 -0.73 -1.45
N 0.03 -0.68 0.27
N 0.70 -0.66 0.20
N -0.16 -0.71 1.44
H -0.11 -0.13 -0.06
H 0.08 -0.10 0.41
H 0.26 -0.21 0.03
H 0.15 0.15 -0.15
H 0.05 0.00 -0.15
H -0.60 0.33 0.37
H 0.21 0.06 0.24
H 0.08 -0.08 0.15

Output
net charge: +2
spin multiplicity: 1
energy: -9179.456 eV
SMILES string: C=[NH+]CNC=[N+]=N
frontier orbital gap: 8.7 eV
F_max: 2.3 eV Å⁻¹
HOMO energy: -19.3032 eV

# 2
This record from the OMol25 dataset describes a structure of composition C3H8N4O. The level of theory is ωB97M-V/def2-TZVPD.

Geometry (Å):
1 C 0.639525 0.507966 -0.359750
2 C -0.749606 -0.705143 0.328654
3 C 1.845796 0.400735 0.506517
4 N -1.501851 1.425437 -0.275029
5 N -0.128864 1.627515 -0.298860
6 N -1.829534 0.257241 0.051516
7 N -0.853343 -1.875824 -0.335188
8 O -3.052161 -0.010804 0.399991
9 H 0.954421 0.176536 -1.403861
10 H -0.623032 -0.799990 1.456651
11 H 1.789444 -0.011547 1.573745
12 H 2.466973 1.404154 0.503244
13 H 2.510833 -0.232825 0.074307
14 H -0.047642 2.384251 -0.936073
15 H -0.418525 -2.707762 0.050323
16 H -1.002441 -1.839946 -1.336194

Forces on the atoms, in the same order (eV/Å):
C -0.68 -4.76 0.42
C 3.06 2.78 0.03
C 0.75 2.99 2.47
N -0.01 -0.30 0.20
N -2.55 1.78 0.47
N -1.72 0.84 1.14
N -0.34 -1.55 -0.40
O 1.67 -0.28 -0.82
H -0.82 0.21 0.94
H -0.07 0.11 -1.56
H -0.57 1.05 -1.27
H -1.37 -1.64 0.35
H 1.93 -2.13 -1.50
H 0.83 0.60 -0.54
H -0.29 0.47 -0.28
H 0.17 -0.17 0.36

Output
net charge: 0
spin multiplicity: 1
energy: -11243.374 eV
frontier orbital gap (spin up / spin down): 9.0 / 9.0 eV
F_max: 4.8 eV Å⁻¹
HOMO energy (spin up / spin down): -8.2118 / -8.2108 eV

# 3
This record from the OMol25 dataset describes the molecule C3H8N4O. The level of theory is ωB97M-V/def2-TZVPD.

Geometry (Å):
1 C -0.814847 0.487049 -0.476426
2 C -0.516767 -0.876104 -0.003815
3 C 0.544587 -1.191889 1.339706
4 H 1.625645 0.828054 -2.272527
5 H 0.479505 -0.392126 -2.365982
6 H -1.702314 2.145545 0.096175
7 H -2.603262 0.989760 0.779391
8 H -1.523039 -1.574706 0.307889
9 H -0.104029 -1.435247 -0.923655
10 H 1.613861 0.510950 0.559138
11 H 2.146622 0.012256 2.060135
12 N 0.956793 0.278985 -1.768426
13 N -0.076858 1.218660 -1.143851
14 N -1.714195 1.278171 0.320014
15 N 1.580026 -0.256188 1.292707
16 O 0.108272 -2.023171 2.199527

Forces on the atoms, in the same order (eV/Å):
C -2.65 1.16 5.43
C -1.34 -5.42 0.20
C -3.31 0.79 0.29
H -0.15 0.37 -0.49
H 0.26 0.52 -0.23
H 0.06 7.09 -1.91
H 1.49 -0.29 -0.93
H 2.73 2.36 -0.75
H -0.56 0.45 1.91
H -0.66 -2.02 0.89
H 0.29 -0.56 1.07
N -0.56 1.27 0.98
N 3.58 -1.03 -4.02
N -0.98 -7.87 1.95
N -1.16 -0.13 -1.09
O 2.95 3.32 -3.30

Output
net charge: 0
spin multiplicity: 1
energy: -11245.768 eV
SMILES string: N/N=C(/N)CC(N)=O
frontier orbital gap: 9.5 eV
F_max: 8.2 eV Å⁻¹
HOMO energy: -8.7119 eV

# 4
This record from the OMol25 dataset describes a cluster of 2 separate species, C3H8N4O2 in total. The level of theory is ωB97M-V/def2-TZVPD.

Geometry (Å):
1 C -0.749277 2.050547 1.627456
2 N -0.497270 0.712829 1.087174
3 C 0.813327 0.420175 0.758769
4 N 1.951440 0.642262 0.665590
5 H -0.882805 -0.027904 1.664556
6 H -0.357236 2.785384 0.924916
7 H -0.260980 2.197031 2.595449
8 H -1.826079 2.183403 1.737042
9 C -0.595299 -0.936394 -1.462292
10 N 1.406640 -1.927323 -0.977791
~~~

Here it is:
frontier orbital gap: 8.7 eV
frontier orbital gap (spin up / spin down): 9.0 / 9.0 eV
frontier orbital gap: 9.5 eV